== Excerpt ==
No. 1
Structure and calculated powder diffraction line list of Gd2ZnTe2S2O14 (a cell relaxed with PBE; Cu Kα (λ = 1.5418 Å)).

Atomic structure:
```
data_Gd2ZnTe2S2O14
_chemical_formula_sum 'Gd2 Zn1 Te2 S2 O14'
_symmetry_space_group_name_H-M 'P -1'
_symmetry_Int_Tables_number 2
_symmetry_space_group_name_Hall '-P 1'
_cell_length_a 5.3323
_cell_length_b 7.9902
_cell_length_c 8.2437
_cell_angle_alpha 63.86
_cell_angle_beta 73.38
_cell_angle_gamma 85.35
loop_
_atom_site_label
_atom_site_type_symbol
_atom_site_fract_x
_atom_site_fract_y
_atom_site_fract_z
Gd1 Gd 0.0818 0.2526 0.0151
Zn1 Zn 0.0000 0.0000 0.5000
Te1 Te 0.4838 0.7293 0.6602
S1 S 0.2382 0.7527 0.2526
O1 O 0.1128 0.5919 0.2551
O2 O 0.1293 0.7693 0.4310
O3 O 0.1779 0.9216 0.0905
O4 O 0.2495 0.9243 0.6654
O5 O 0.2508 0.5621 0.8923
O6 O 0.2784 0.1934 0.2495
O7 O 0.4742 0.2668 0.7799
```

Most intense lines, 2θ = 10–90°, in order of rising 2θ:
2θ/deg	I (rel.)
13.17	66.2
24.12	82.9
24.34	77.5
24.86	100.0
26.25	48.4
27.06	38.4
29.84	68.6
30.06	37.3
33.25	35.1
34.56	36.4
35.14	39.9
36.80	40.2


No. 2
Structure and calculated powder diffraction line list of Gd3SbO3 (a cell relaxed with PBE; Cu Kα (λ = 1.5418 Å)).

Atomic structure:
```
data_Gd3SbO3
_chemical_formula_sum 'Gd12 Sb4 O12'
_symmetry_space_group_name_H-M 'C 1 2/m 1'
_symmetry_Int_Tables_number 12
_symmetry_space_group_name_Hall '-C 2y'
_cell_length_a 13.3791
_cell_length_b 3.9299
_cell_length_c 11.9612
_cell_angle_alpha 90.00
_cell_angle_beta 118.40
_cell_angle_gamma 90.00
loop_
_atom_site_label
_atom_site_type_symbol
_atom_site_fract_x
_atom_site_fract_y
_atom_site_fract_z
Gd1 Gd 0.1196 0.0000 0.4422
Gd2 Gd 0.1281 0.0000 0.9005
Gd3 Gd 0.1571 0.5000 0.2077
Sb1 Sb 0.1185 0.5000 0.6804
O1 O 0.0637 0.0000 0.1969
O2 O 0.1642 0.5000 0.0153
O3 O 0.1903 0.5000 0.4099
```

Most intense lines, 2θ = 10–90°, in order of rising 2θ:
2θ/deg	I (rel.)
29.90	53.7
30.38	56.8
30.95	100.0
31.43	89.7
42.40	15.1
43.88	15.7
46.20	24.8
53.42	16.6
54.03	16.5
54.96	16.8
56.01	18.1
56.30	21.2


No. 3
Structure and calculated powder diffraction line list of Gd3Sb5O12 (a cell relaxed with PBE; Cu Kα (λ = 1.5418 Å)).

Atomic structure:
```
data_Gd3Sb5O12
_chemical_formula_sum 'Gd12 Sb20 O48'
_symmetry_space_group_name_H-M 'I -4 3 m'
_symmetry_Int_Tables_number 217
_symmetry_space_group_name_Hall 'I -4 2 3'
_cell_length_a 10.9986
_cell_length_b 10.9986
_cell_length_c 10.9986
_cell_angle_alpha 90.00
_cell_angle_beta 90.00
_cell_angle_gamma 90.00
loop_
_atom_site_label
_atom_site_type_symbol
_atom_site_fract_x
_atom_site_fract_y
_atom_site_fract_z
Gd1 Gd 0.0000 0.2500 0.5000
Sb1 Sb 0.0000 0.0000 0.2825
Sb2 Sb 0.2448 0.2448 0.7552
O1 O 0.1003 0.1003 0.6051
O2 O 0.1380 0.1380 0.3378
```

Most intense lines, 2θ = 10–90°, in order of rising 2θ:
2θ/deg	I (rel.)
11.38	14.9
28.10	100.0
30.41	4.2
32.56	35.0
46.72	42.8
55.41	38.7
58.11	8.8
62.00	4.1
68.21	5.4
75.33	13.0
77.65	11.0
86.75	9.3


No. 4
Structure and calculated powder diffraction line list of GdYScSbO7 (a cell relaxed with PBE; Cu Kα (λ = 1.5418 Å)).

Atomic structure:
```
data_GdYScSbO7
_chemical_formula_sum 'Gd4 Y4 Sc4 Sb4 O28'
_symmetry_space_group_name_H-M 'I m m a'
_symmetry_Int_Tables_number 74
_symmetry_space_group_name_Hall '-I 2b 2'
_cell_length_a 7.3857
_cell_length_b 7.4637
_cell_length_c 10.4408
_cell_angle_alpha 90.00
_cell_angle_beta 90.00
_cell_angle_gamma 90.00
loop_
_atom_site_label
_atom_site_type_symbol
_atom_site_fract_x
_atom_site_fract_y
_atom_site_fract_z
Gd1 Gd 0.0000 0.0000 0.0000
Y1 Y 0.2500 0.2500 0.2500
Sc1 Sc 0.2500 0.2500 0.7500
Sb1 Sb 0.0000 0.0000 0.5000
O1 O 0.0000 0.2500 0.1317
O2 O 0.0000 0.2500 0.4263
O3 O 0.0000 0.2500 0.8477
O4 O 0.1998 0.0297 0.6260
```

Most intense lines, 2θ = 10–90°, in order of rising 2θ:
2θ/deg	I (rel.)
16.98	21.2
29.42	98.1
29.63	100.0
34.16	38.1
34.36	18.7
48.81	17.7
49.23	65.3
49.36	15.4
58.14	28.5
58.51	41.0
58.65	13.7
80.04	16.4

== To do ==
Please print all of the calculation results further up without additions.

== Worked solution ==
No. 1
Structure and calculated powder diffraction line list of Gd2ZnTe2S2O14 (a cell relaxed with PBE; Cu Kα (λ = 1.5418 Å)).

Atomic structure:
```
data_Gd2ZnTe2S2O14
_chemical_formula_sum 'Gd2 Zn1 Te2 S2 O14'
_symmetry_space_group_name_H-M 'P -1'
_symmetry_Int_Tables_number 2
_symmetry_space_group_name_Hall '-P 1'
_cell_length_a 5.3323
_cell_length_b 7.9902
_cell_length_c 8.2437
_cell_angle_alpha 63.86
_cell_angle_beta 73.38
_cell_angle_gamma 85.35
loop_
_atom_site_label
_atom_site_type_symbol
_atom_site_fract_x
_atom_site_fract_y
_atom_site_fract_z
Gd1 Gd 0.0818 0.2526 0.0151
Zn1 Zn 0.0000 0.0000 0.5000
Te1 Te 0.4838 0.7293 0.6602
S1 S 0.2382 0.7527 0.2526
O1 O 0.1128 0.5919 0.2551
O2 O 0.1293 0.7693 0.4310
O3 O 0.1779 0.9216 0.0905
O4 O 0.2495 0.9243 0.6654
O5 O 0.2508 0.5621 0.8923
O6 O 0.2784 0.1934 0.2495
O7 O 0.4742 0.2668 0.7799
```

Most intense lines, 2θ = 10–90°, in order of rising 2θ:
2θ/deg	I (rel.)
13.17	66.2
24.12	82.9
24.34	77.5
24.86	100.0
26.25	48.4
27.06	38.4
29.84	68.6
30.06	37.3
33.25	35.1
34.56	36.4
35.14	39.9
36.80	40.2


No. 2
Structure and calculated powder diffraction line list of Gd3SbO3 (a cell relaxed with PBE; Cu Kα (λ = 1.5418 Å)).

Atomic structure:
```
data_Gd3SbO3
_chemical_formula_sum 'Gd12 Sb4 O12'
_symmetry_space_group_name_H-M 'C 1 2/m 1'
_symmetry_Int_Tables_number 12
_symmetry_space_group_name_Hall '-C 2y'
_cell_length_a 13.3791
_cell_length_b 3.9299
_cell_length_c 11.9612
_cell_angle_alpha 90.00
_cell_angle_beta 118.40
_cell_angle_gamma 90.00
loop_
_atom_site_label
_atom_site_type_symbol
_atom_site_fract_x
_atom_site_fract_y
_atom_site_fract_z
Gd1 Gd 0.1196 0.0000 0.4422
Gd2 Gd 0.1281 0.0000 0.9005
Gd3 Gd 0.1571 0.5000 0.2077
Sb1 Sb 0.1185 0.5000 0.6804
O1 O 0.0637 0.0000 0.1969
O2 O 0.1642 0.5000 0.0153
O3 O 0.1903 0.5000 0.4099
```

Most intense lines, 2θ = 10–90°, in order of rising 2θ:
2θ/deg	I (rel.)
29.90	53.7
30.38	56.8
30.95	100.0
31.43	89.7
42.40	15.1
43.88	15.7
46.20	24.8
53.42	16.6
54.03	16.5
54.96	16.8
56.01	18.1
56.30	21.2


No. 3
Structure and calculated powder diffraction line list of Gd3Sb5O12 (a cell relaxed with PBE; Cu Kα (λ = 1.5418 Å)).

Atomic structure:
```
data_Gd3Sb5O12
_chemical_formula_sum 'Gd12 Sb20 O48'
_symmetry_space_group_name_H-M 'I -4 3 m'
_symmetry_Int_Tables_number 217
_symmetry_space_group_name_Hall 'I -4 2 3'
_cell_length_a 10.9986
_cell_length_b 10.9986
_cell_length_c 10.9986
_cell_angle_alpha 90.00
_cell_angle_beta 90.00
_cell_angle_gamma 90.00
loop_
_atom_site_label
_atom_site_type_symbol
_atom_site_fract_x
_atom_site_fract_y
_atom_site_fract_z
Gd1 Gd 0.0000 0.2500 0.5000
Sb1 Sb 0.0000 0.0000 0.2825
Sb2 Sb 0.2448 0.2448 0.7552
O1 O 0.1003 0.1003 0.6051
O2 O 0.1380 0.1380 0.3378
```

Most intense lines, 2θ = 10–90°, in order of rising 2θ:
2θ/deg	I (rel.)
11.38	14.9
28.10	100.0
30.41	4.2
32.56	35.0
46.72	42.8
55.41	38.7
58.11	8.8
62.00	4.1
68.21	5.4
75.33	13.0
77.65	11.0
86.75	9.3


No. 4
Structure and calculated powder diffraction line list of GdYScSbO7 (a cell relaxed with PBE; Cu Kα (λ = 1.5418 Å)).

Atomic structure:
```
data_GdYScSbO7
_chemical_formula_sum 'Gd4 Y4 Sc4 Sb4 O28'
_symmetry_space_group_name_H-M 'I m m a'
_symmetry_Int_Tables_number 74
_symmetry_space_group_name_Hall '-I 2b 2'
_cell_length_a 7.3857
_cell_length_b 7.4637
_cell_length_c 10.4408
_cell_angle_alpha 90.00
_cell_angle_beta 90.00
_cell_angle_gamma 90.00
loop_
_atom_site_label
_atom_site_type_symbol
_atom_site_fract_x
_atom_site_fract_y
_atom_site_fract_z
Gd1 Gd 0.0000 0.0000 0.0000
Y1 Y 0.2500 0.2500 0.2500
Sc1 Sc 0.2500 0.2500 0.7500
Sb1 Sb 0.0000 0.0000 0.5000
O1 O 0.0000 0.2500 0.1317
O2 O 0.0000 0.2500 0.4263
O3 O 0.0000 0.2500 0.8477
O4 O 0.1998 0.0297 0.6260
```

Most intense lines, 2θ = 10–90°, in order of rising 2θ:
2θ/deg	I (rel.)
16.98	21.2
29.42	98.1
29.63	100.0
34.16	38.1
34.36	18.7
48.81	17.7
49.23	65.3
49.36	15.4
58.14	28.5
58.51	41.0
58.65	13.7
80.04	16.4